Stand by HQAI
Board members reaching out
What a pressure on our members from the Americas, where HQAI is hardly (ok, let's be frank: not) known at all, where no audited organisation can speak up in favour of independent quality assurance, where no convinced donor can open doors. But why should this stop us? Board member Maria Emilia Correa started from scratch and reached out to her network with the very basics: who is HQAI and why do they exist? Thanks to Maria Emilia, HQAI made it into the Harvard Advanced Leadership Initiative Newsletter and gave us Tweets to share.
Board member Daniel Hitzig lives in Switzerland. Easy-breezy, one might think: Switzerland is a donor, it is the "residence" of HQAI ... But it is not that easy, in the end.
Daniel will help us change that. He published an article on his blog asking the very bold question: HQAI? Pardon me? The article is a very pleasant read, smooth, interesting without the boring details. German-speakers, have a look here. Non-German speakers: write one in your language :-). And how nice to see that Daniel mentions his membership to HQAI's Board of Directors in his Twitter bio. It is all about visibility.
Materials data, as found in the file =
<<<
# 1
Entry from Alexandria: crystalline K2MgSi at its relaxed geometry (GGA-PBEsol).

## Properties
The calculation puts the formation energy (no corrections) at 13 kJ/mol of atoms. The calculation puts the total energy at -9.2 eV per cell. As for the space group: Imm2, No. 44.

The structure in POSCAR format:
```
K2MgSi
1.0
-2.037 1.742 3.845
4.652 -1.937 3.342
0.941 4.281 -4.298
K Mg Si
2 1 1
Cartesian
3.396 3.791 2.939
0.223 3.181 1.533
1.653 0.547 3.485
3.146 0.558 1.414
```

---

# 2
Entry from Alexandria: crystalline K2MgSi at its relaxed geometry (GGA-PBEsol).

## Properties
The calculation puts the formation energy (no corrections) at 42 kJ/mol of atoms. The calculation puts the total energy at -8.0 eV per cell. As for the space group: P2/m, No. 10.

The structure in POSCAR format:
```
K2MgSi
1.0
-0.933 -0.432 -3.639
4.087 -3.700 -0.609
-3.582 -4.291 2.033
K Mg Si
2 1 1
Cartesian
-3.484 -3.543 -1.857
-1.031 -1.180 0.252
1.577 -2.066 -2.124
-0.214 -4.212 -1.107
```

---

# 3
Entry from Alexandria: crystalline KMgSi at its relaxed geometry (GGA-PBEsol).

## Properties
The calculation puts the formation energy (no corrections) at 37 kJ/mol of atoms. The calculation puts the total energy at -7.4 eV per cell. For the relative energy among the computed polymorphs, the calculation gives 173 meV/atom. As for the space group: P3m1, No. 156.

The structure in POSCAR format:
```
KMgSi
1.0
3.311 0.000 0.000
-1.656 2.868 0.000
0.000 0.000 8.073
Mg Si K
1 1 1
Cartesian
0.000 1.912 4.933
1.656 0.956 2.906
0.000 0.000 0.233
```

---

# 4
Entry from Alexandria: crystalline KMgSi2 at its relaxed geometry (GGA-PBEsol).

## Properties
The calculation puts the formation energy (no corrections) at 16 kJ/mol of atoms. The calculation puts the total energy at -13.7 eV per cell. As for the space group: Cm, No. 8.

The structure in POSCAR format:
```
KMgSi2
1.0
3.755 0.000 0.000
-1.877 3.751 -0.019
0.000 -1.821 7.646
K Mg Si
1 1 2
Cartesian
1.877 -0.839 4.234
1.877 1.354 1.058
1.877 1.889 7.152
0.000 0.546 6.633
```

---

# 5
Entry from Alexandria: crystalline KMgSi at its relaxed geometry (GGA-PBEsol).

## Properties
The calculation puts the formation energy (no corrections) at 20 kJ/mol of atoms. The calculation puts the total energy at -8.0 eV per cell. For the relative energy among the computed polymorphs, the calculation gives 0 meV/atom. As for the space group: P-6m2, No. 187.

The structure in POSCAR format:
```
>>>
Back to the page =

Listen to the auditors
Our series "insights from auditors" continues and we are very pleased to have Cath Blunt and Sarah Kambarami speak about their experiences in such a particular COVID-year.
Sarah and Cath both give very personal feedback about how they "live" their jobs as auditors. Struggling with home schooling and sometimes awkward remote auditing timings, composing with virtual office visits in country offices and deeply missing the personal touch and non-verbal communication in audits.
But what a heartfelt pleasure we sense when they talk about speaking to communities, seeing organisations harness the learnings, macro and micro improvements for aid to become better.
Thank you for these beautiful insights which we proudly shared on all our social media channels.
Are you getting inspired?
We share these pieces for multiple reasons - to thank the interested parties for being proactive and supportive, to share their genius insights with you and to sparkle ideas of how you can help us spread the word about HQAI in the future.
Ready for an interview? Give a shout to Annina, she is super good in this!
Social media gig? Mention HQAI and create interest from your audience. Look at the LinkedIn profile of Rayelene Govender, she tells the world that she is "on board" with HQAI.
Doors to open? We all have our networks and without a single doubt we all have one or two contacts that could be interesting for HQAI, whether it is for fundraising, for our audit services or for introducing us somewhere else.